• Brief:
Repeat all of the calculation results further below exactly.

• Material:
~~~
Run 1
Entry from OMol25: a cluster of 2 separate species, C3H7N4 in total (wB97M-V/def2-TZVPD).

Each line ends with the natural charge from an NBO analysis.
Positions of all 14 atoms, in Å:
C 0.262 1.773 -0.634  0.31
C -0.113 -0.447 -1.480  0.41
C 0.191 0.019 0.846  0.29
N 0.153 1.362 0.535  -0.38
N 0.191 0.839 -1.767  -0.57
N 0.009 -0.973 -0.287  -0.51
N -0.798 -0.385 1.811  -0.83
H 0.344 2.736 -0.878  0.21
H -0.450 -1.203 -2.169  0.25
H 1.575 -0.275 1.375  0.16
H -0.045 1.349 -2.587  0.45
H -0.365 -1.806 0.114  0.45
H -1.195 -1.295 1.672  0.37
H -0.517 -0.288 2.758  0.41

As for the total charge: +1. For the HOMO energy, the calculation gives -13.81 eV. As for the gap between HOMO and LUMO: 9.1 eV. The LUMO energy is -4.70 eV.

Run 2
Entry from OMol25: the ion C3H7N4 with charge +1 (wB97M-V/def2-TZVPD).

Each line ends with the natural charge from an NBO analysis.
Positions of all 14 atoms, in Å:
N -0.526 -1.114 1.119  -0.82
C -0.131 -0.076 0.268  0.32
N 0.627 1.058 1.181  -0.77
C 0.695 -0.352 -0.962  -0.26
C -0.140 -0.140 -1.992  -0.02
N -1.405 0.185 -1.551  -0.08
N -1.503 0.338 -0.353  -0.10
H -0.063 -1.975 1.054  0.42
H -1.587 -1.085 1.174  0.44
H -0.141 1.508 1.754  0.46
H 1.145 1.991 0.821  0.47
H 1.242 0.348 1.562  0.46
H 1.726 -0.586 -1.107  0.26
H 0.061 -0.098 -2.967  0.23

The SMILES is N[C@@]1([NH3+])C=CN=N1. As for the total charge: +1. For the HOMO energy, the calculation gives -14.20 eV. As for the gap between HOMO and LUMO: 9.4 eV. The LUMO energy is -4.84 eV.

What are the relative energies? In hartree: run 1 0.0000; run 2 0.0318.

Run 1
Entry from OMol25: the ion C3H7N4 with charge +1 (wB97M-V/def2-TZVPD).

Each line ends with the natural charge from an NBO analysis.
Positions of all 14 atoms, in Å:
C 2.094 -0.168 -0.060  0.21
C -1.120 0.335 0.847  0.37
C -1.372 -0.928 -1.088  -0.46
N 0.831 -0.407 -0.492  -0.11
N 2.588 -0.420 1.008  -0.59
N -0.385 -0.203 -0.238  -0.03
N -1.283 1.515 1.270  -0.63
H 2.718 0.219 -0.888  0.19
H -2.417 -0.597 -0.833  0.25
H -1.255 -0.652 -2.190  0.26
H -1.146 -2.027 -1.256  0.29
H 3.633 -0.600 1.067  0.40
H -1.875 1.591 2.038  0.44
H -1.011 2.342 0.815  0.41

As for the total charge: +1. For the HOMO energy (spin up / spin down), the calculation gives -14.02 / -14.02 eV. As for the gap between HOMO and LUMO (spin up / spin down): 8.2 / 8.2 eV. The LUMO energy (spin up / spin down) is -5.82 / -5.82 eV.

Run 2
Entry from OMol25: the ion C3H7N4 with charge +1 (wB97M-V/def2-TZVPD).

Each line ends with the natural charge from an NBO analysis.
Positions of all 14 atoms, in Å:
N -0.790 1.516 -1.777  -0.75
C -0.426 0.753 -0.759  0.62
N -1.066 0.750 0.388  -0.54
C -0.352 0.023 1.276  0.15
N 0.138 -1.468 1.049  -0.60
C 0.962 -0.314 0.693  0.06
N 0.776 0.115 -0.693  -0.60
H -1.544 2.140 -1.645  0.43
H -0.598 1.119 -2.667  0.41
H -0.513 0.253 2.279  0.25
H -0.232 -2.068 0.347  0.43
H 0.298 -2.067 1.857  0.45
H 2.012 -0.395 1.056  0.26
H 1.334 -0.357 -1.404  0.44

The SMILES is NC1=N[C@H]2[NH2+][C@H]2N1. As for the total charge: +1. For the HOMO energy, the calculation gives -13.80 eV. As for the gap between HOMO and LUMO: 10.4 eV. The LUMO energy is -3.39 eV.

Run 3
Entry from OMol25: the ion C3H7N4 with charge +1 (wB97M-V/def2-TZVPD).

Each line ends with the natural charge from an NBO analysis.
Positions of all 14 atoms, in Å:
N -1.568 0.132 0.660  -0.66
N -0.403 0.044 -0.553  -0.10
C 0.404 1.329 -0.473  -0.12
C 1.640 1.155 0.042  0.03
N 2.145 0.022 0.502  -0.43
C 1.496 -1.073 0.207  0.27
N 0.366 -1.099 -0.452  -0.41
H -2.402 -0.421 0.666  0.39
H -1.027 -0.056 1.494  0.37
H -0.950 0.177 -1.364  0.45
H -0.219 2.158 -0.817  0.27
H 2.156 2.108 0.160  0.25
H 2.097 -1.884 0.588  0.26
H 0.247 -1.701 -1.254  0.44

The SMILES is N[N@H+]1C=CN=CN1. As for the total charge: +1. For the HOMO energy, the calculation gives -14.06 eV. As for the gap between HOMO and LUMO: 9.7 eV. The LUMO energy is -4.38 eV.

Run 4
Entry from OMol25: the ion C3H7N4 with charge +1 (wB97M-V/def2-TZVPD).
~~~

• Reply:
Run 1
Entry from OMol25: a cluster of 2 separate species, C3H7N4 in total (wB97M-V/def2-TZVPD).

Each line ends with the natural charge from an NBO analysis.
Positions of all 14 atoms, in Å:
C 0.262 1.773 -0.634  0.31
C -0.113 -0.447 -1.480  0.41
C 0.191 0.019 0.846  0.29
N 0.153 1.362 0.535  -0.38
N 0.191 0.839 -1.767  -0.57
N 0.009 -0.973 -0.287  -0.51
N -0.798 -0.385 1.811  -0.83
H 0.344 2.736 -0.878  0.21
H -0.450 -1.203 -2.169  0.25
H 1.575 -0.275 1.375  0.16
H -0.045 1.349 -2.587  0.45
H -0.365 -1.806 0.114  0.45
H -1.195 -1.295 1.672  0.37
H -0.517 -0.288 2.758  0.41

As for the total charge: +1. For the HOMO energy, the calculation gives -13.81 eV. As for the gap between HOMO and LUMO: 9.1 eV. The LUMO energy is -4.70 eV.

Run 2
Entry from OMol25: the ion C3H7N4 with charge +1 (wB97M-V/def2-TZVPD).

Each line ends with the natural charge from an NBO analysis.
Positions of all 14 atoms, in Å:
N -0.526 -1.114 1.119  -0.82
C -0.131 -0.076 0.268  0.32
N 0.627 1.058 1.181  -0.77
C 0.695 -0.352 -0.962  -0.26
C -0.140 -0.140 -1.992  -0.02
N -1.405 0.185 -1.551  -0.08
N -1.503 0.338 -0.353  -0.10
H -0.063 -1.975 1.054  0.42
H -1.587 -1.085 1.174  0.44
H -0.141 1.508 1.754  0.46
H 1.145 1.991 0.821  0.47
H 1.242 0.348 1.562  0.46
H 1.726 -0.586 -1.107  0.26
H 0.061 -0.098 -2.967  0.23

The SMILES is N[C@@]1([NH3+])C=CN=N1. As for the total charge: +1. For the HOMO energy, the calculation gives -14.20 eV. As for the gap between HOMO and LUMO: 9.4 eV. The LUMO energy is -4.84 eV.

What are the relative energies? In hartree: run 1 0.0000; run 2 0.0318.

Run 1
Entry from OMol25: the ion C3H7N4 with charge +1 (wB97M-V/def2-TZVPD).

Each line ends with the natural charge from an NBO analysis.
Positions of all 14 atoms, in Å:
C 2.094 -0.168 -0.060  0.21
C -1.120 0.335 0.847  0.37
C -1.372 -0.928 -1.088  -0.46
N 0.831 -0.407 -0.492  -0.11
N 2.588 -0.420 1.008  -0.59
N -0.385 -0.203 -0.238  -0.03
N -1.283 1.515 1.270  -0.63
H 2.718 0.219 -0.888  0.19
H -2.417 -0.597 -0.833  0.25
H -1.255 -0.652 -2.190  0.26
H -1.146 -2.027 -1.256  0.29
H 3.633 -0.600 1.067  0.40
H -1.875 1.591 2.038  0.44
H -1.011 2.342 0.815  0.41

As for the total charge: +1. For the HOMO energy (spin up / spin down), the calculation gives -14.02 / -14.02 eV. As for the gap between HOMO and LUMO (spin up / spin down): 8.2 / 8.2 eV. The LUMO energy (spin up / spin down) is -5.82 / -5.82 eV.

Run 2
Entry from OMol25: the ion C3H7N4 with charge +1 (wB97M-V/def2-TZVPD).

Each line ends with the natural charge from an NBO analysis.
Positions of all 14 atoms, in Å:
N -0.790 1.516 -1.777  -0.75
C -0.426 0.753 -0.759  0.62
N -1.066 0.750 0.388  -0.54
C -0.352 0.023 1.276  0.15
N 0.138 -1.468 1.049  -0.60
C 0.962 -0.314 0.693  0.06
N 0.776 0.115 -0.693  -0.60
H -1.544 2.140 -1.645  0.43
H -0.598 1.119 -2.667  0.41
H -0.513 0.253 2.279  0.25
H -0.232 -2.068 0.347  0.43
H 0.298 -2.067 1.857  0.45
H 2.012 -0.395 1.056  0.26
H 1.334 -0.357 -1.404  0.44

The SMILES is NC1=N[C@H]2[NH2+][C@H]2N1. As for the total charge: +1. For the HOMO energy, the calculation gives -13.80 eV. As for the gap between HOMO and LUMO: 10.4 eV. The LUMO energy is -3.39 eV.

Run 3
Entry from OMol25: the ion C3H7N4 with charge +1 (wB97M-V/def2-TZVPD).

Each line ends with the natural charge from an NBO analysis.
Positions of all 14 atoms, in Å:
N -1.568 0.132 0.660  -0.66
N -0.403 0.044 -0.553  -0.10
C 0.404 1.329 -0.473  -0.12
C 1.640 1.155 0.042  0.03
N 2.145 0.022 0.502  -0.43
C 1.496 -1.073 0.207  0.27
N 0.366 -1.099 -0.452  -0.41
H -2.402 -0.421 0.666  0.39
H -1.027 -0.056 1.494  0.37
H -0.950 0.177 -1.364  0.45
H -0.219 2.158 -0.817  0.27
H 2.156 2.108 0.160  0.25
H 2.097 -1.884 0.588  0.26
H 0.247 -1.701 -1.254  0.44

The SMILES is N[N@H+]1C=CN=CN1. As for the total charge: +1. For the HOMO energy, the calculation gives -14.06 eV. As for the gap between HOMO and LUMO: 9.7 eV. The LUMO energy is -4.38 eV.

Run 4
Entry from OMol25: the ion C3H7N4 with charge +1 (wB97M-V/def2-TZVPD).